## Excerpt
/*
Here is a geometry-optimized CaErMgPd structure from the Alexandria database. Energies are from PBE.

## Properties
Spin magnetization   0.00 μB per formula unit
Formation enthalpy at 0 K   -0.336 eV/atom

Unit cell a=5.1426 b=5.1426 c=5.1426 alpha=60.00 beta=60.00 gamma=60.00
Positions (direct):
Ca  0.0000  0.0000  0.0000
Er  0.5000  0.5000  0.5000
Mg  0.7500  0.7500  0.7500
Pd  0.2500  0.2500  0.2500

Here is a geometry-optimized Er3C4 structure from the Alexandria database. Energies are from PBE.

## Properties
Spin magnetization   0.00 μB per formula unit
Formation enthalpy at 0 K   -0.349 eV/atom

Unit cell a=8.0112 b=8.0112 c=15.8755 alpha=90.00 beta=90.00 gamma=90.00
Positions (direct):
Er  0.0000  0.0000  0.0000
Er  0.0000  0.0000  0.3129
Er  0.0000  0.0000  0.6871
Er  0.0958  0.2969  0.5000
Er  0.0999  0.7116  0.1463
Er  0.0999  0.7116  0.8537
Er  0.2031  0.4042  0.0000
Er  0.2116  0.5999  0.3537
Er  0.2116  0.5999  0.6463
Er  0.2884  0.0999  0.1463
Er  0.2884  0.0999  0.8537
Er  0.2969  0.9042  0.5000
Er  0.4001  0.2116  0.3537
Er  0.4001  0.2116  0.6463
Er  0.4042  0.7969  0.0000
Er  0.5000  0.5000  0.1871
Er  0.5000  0.5000  0.5000
Er  0.5000  0.5000  0.8129
Er  0.5958  0.2031  0.0000
Er  0.5999  0.7884  0.3537
Er  0.5999  0.7884  0.6463
Er  0.7031  0.0958  0.5000
Er  0.7116  0.9001  0.1463
Er  0.7116  0.9001  0.8537
Er  0.7884  0.4001  0.3537
Er  0.7884  0.4001  0.6463
Er  0.7969  0.5958  0.0000
Er  0.9001  0.2884  0.1463
Er  0.9001  0.2884  0.8537
Er  0.9042  0.7031  0.5000
C  0.0000  0.0000  0.1568
C  0.0000  0.0000  0.4587
C  0.0000  0.0000  0.5413
C  0.0000  0.0000  0.8432
C  0.0983  0.3064  0.3279
C  0.0983  0.3064  0.6721
C  0.1061  0.6960  0.0000
C  0.1504  0.3496  0.2500
C  0.1504  0.3496  0.7500
C  0.1936  0.4017  0.1721
C  0.1936  0.4017  0.8279
C  0.1960  0.6061  0.5000
C  0.3040  0.1061  0.0000
C  0.3064  0.9017  0.3279
C  0.3064  0.9017  0.6721
C  0.3496  0.8496  0.2500
C  0.3496  0.8496  0.7500
C  0.3939  0.1960  0.5000
C  0.4017  0.8064  0.1721
C  0.4017  0.8064  0.8279
C  0.5000  0.5000  0.0413
C  0.5000  0.5000  0.3432
C  0.5000  0.5000  0.6568
C  0.5000  0.5000  0.9587
C  0.5983  0.1936  0.1721
C  0.5983  0.1936  0.8279
C  0.6061  0.8040  0.5000
C  0.6504  0.1504  0.2500
C  0.6504  0.1504  0.7500
C  0.6936  0.0983  0.3279
C  0.6936  0.0983  0.6721
C  0.6960  0.8939  0.0000
C  0.8040  0.3939  0.5000
C  0.8064  0.5983  0.1721
C  0.8064  0.5983  0.8279
C  0.8496  0.6504  0.2500
C  0.8496  0.6504  0.7500
C  0.8939  0.3040  0.0000
C  0.9017  0.6936  0.3279
C  0.9017  0.6936  0.6721

Here is a geometry-optimized Al2IrOsPb structure from the Alexandria database. Energies are from PBE.

## Properties
Spin magnetization   0.00 μB per formula unit
Formation enthalpy at 0 K   0.882 eV/atom

Unit cell a=4.6466 b=4.6466 c=5.1286 alpha=90.00 beta=90.00 gamma=90.00
Positions (direct):
Al  0.0000  0.5000  0.0000
Al  0.5000  0.0000  0.0000
Ir  0.0000  0.0000  0.5000
Os  0.5000  0.5000  0.0000
Pb  0.5000  0.5000  0.5000

----------

Entry from Alexandria: a relaxed BaGaClO2 crystal (PBE-GGA).

ΔE_f (raw): -2.17 eV per atom
Total magnetic moment: 0.000 μB/cell
Final energy: -110.2 eV for the cell shown
N(E_F): 0.0 states/eV per cell

Unit cell a=6.083 b=12.655 c=5.593 alpha=90.00 beta=90.00 gamma=90.00
Space group Cmcm (No. 63)
One atom of each set of equivalent atoms:
Ba  0.000  0.125  0.250 x4
Ga  0.000  0.497  0.750 x4
Cl  0.000  0.270  0.750 x4
O  0.215  0.500  0.000 x8

Entry from Alexandria: a relaxed BaGaPCl2 crystal (PBE-GGA).

ΔE_f (raw): -0.52 eV per atom
Total magnetic moment: 2.000 μB/cell
Final energy: -16.7 eV for the cell shown
Offset from the most stable computed form: 496 meV/atom
N(E_F): 2.8 states/eV per cell

Unit cell a=5.928 b=5.928 c=6.410 alpha=90.00 beta=90.00 gamma=90.00
Space group P4/mmm (No. 123)
One atom of each set of equivalent atoms:
Ba  0.000  0.000  0.000 x1
Ga  0.500  0.500  0.500 x1
P  0.000  0.000  0.500 x1
Cl  0.000  0.500  0.000 x2
*/

## Activity
Type out all of the material above with every line break kept.

## Outcome
Here is a geometry-optimized CaErMgPd structure from the Alexandria database. Energies are from PBE.

## Properties
Spin magnetization   0.00 μB per formula unit
Formation enthalpy at 0 K   -0.336 eV/atom

Unit cell a=5.1426 b=5.1426 c=5.1426 alpha=60.00 beta=60.00 gamma=60.00
Positions (direct):
Ca  0.0000  0.0000  0.0000
Er  0.5000  0.5000  0.5000
Mg  0.7500  0.7500  0.7500
Pd  0.2500  0.2500  0.2500

Here is a geometry-optimized Er3C4 structure from the Alexandria database. Energies are from PBE.

## Properties
Spin magnetization   0.00 μB per formula unit
Formation enthalpy at 0 K   -0.349 eV/atom

Unit cell a=8.0112 b=8.0112 c=15.8755 alpha=90.00 beta=90.00 gamma=90.00
Positions (direct):
Er  0.0000  0.0000  0.0000
Er  0.0000  0.0000  0.3129
Er  0.0000  0.0000  0.6871
Er  0.0958  0.2969  0.5000
Er  0.0999  0.7116  0.1463
Er  0.0999  0.7116  0.8537
Er  0.2031  0.4042  0.0000
Er  0.2116  0.5999  0.3537
Er  0.2116  0.5999  0.6463
Er  0.2884  0.0999  0.1463
Er  0.2884  0.0999  0.8537
Er  0.2969  0.9042  0.5000
Er  0.4001  0.2116  0.3537
Er  0.4001  0.2116  0.6463
Er  0.4042  0.7969  0.0000
Er  0.5000  0.5000  0.1871
Er  0.5000  0.5000  0.5000
Er  0.5000  0.5000  0.8129
Er  0.5958  0.2031  0.0000
Er  0.5999  0.7884  0.3537
Er  0.5999  0.7884  0.6463
Er  0.7031  0.0958  0.5000
Er  0.7116  0.9001  0.1463
Er  0.7116  0.9001  0.8537
Er  0.7884  0.4001  0.3537
Er  0.7884  0.4001  0.6463
Er  0.7969  0.5958  0.0000
Er  0.9001  0.2884  0.1463
Er  0.9001  0.2884  0.8537
Er  0.9042  0.7031  0.5000
C  0.0000  0.0000  0.1568
C  0.0000  0.0000  0.4587
C  0.0000  0.0000  0.5413
C  0.0000  0.0000  0.8432
C  0.0983  0.3064  0.3279
C  0.0983  0.3064  0.6721
C  0.1061  0.6960  0.0000
C  0.1504  0.3496  0.2500
C  0.1504  0.3496  0.7500
C  0.1936  0.4017  0.1721
C  0.1936  0.4017  0.8279
C  0.1960  0.6061  0.5000
C  0.3040  0.1061  0.0000
C  0.3064  0.9017  0.3279
C  0.3064  0.9017  0.6721
C  0.3496  0.8496  0.2500
C  0.3496  0.8496  0.7500
C  0.3939  0.1960  0.5000
C  0.4017  0.8064  0.1721
C  0.4017  0.8064  0.8279
C  0.5000  0.5000  0.0413
C  0.5000  0.5000  0.3432
C  0.5000  0.5000  0.6568
C  0.5000  0.5000  0.9587
C  0.5983  0.1936  0.1721
C  0.5983  0.1936  0.8279
C  0.6061  0.8040  0.5000
C  0.6504  0.1504  0.2500
C  0.6504  0.1504  0.7500
C  0.6936  0.0983  0.3279
C  0.6936  0.0983  0.6721
C  0.6960  0.8939  0.0000
C  0.8040  0.3939  0.5000
C  0.8064  0.5983  0.1721
C  0.8064  0.5983  0.8279
C  0.8496  0.6504  0.2500
C  0.8496  0.6504  0.7500
C  0.8939  0.3040  0.0000
C  0.9017  0.6936  0.3279
C  0.9017  0.6936  0.6721

Here is a geometry-optimized Al2IrOsPb structure from the Alexandria database. Energies are from PBE.

## Properties
Spin magnetization   0.00 μB per formula unit
Formation enthalpy at 0 K   0.882 eV/atom

Unit cell a=4.6466 b=4.6466 c=5.1286 alpha=90.00 beta=90.00 gamma=90.00
Positions (direct):
Al  0.0000  0.5000  0.0000
Al  0.5000  0.0000  0.0000
Ir  0.0000  0.0000  0.5000
Os  0.5000  0.5000  0.0000
Pb  0.5000  0.5000  0.5000

----------

Entry from Alexandria: a relaxed BaGaClO2 crystal (PBE-GGA).

ΔE_f (raw): -2.17 eV per atom
Total magnetic moment: 0.000 μB/cell
Final energy: -110.2 eV for the cell shown
N(E_F): 0.0 states/eV per cell

Unit cell a=6.083 b=12.655 c=5.593 alpha=90.00 beta=90.00 gamma=90.00
Space group Cmcm (No. 63)
One atom of each set of equivalent atoms:
Ba  0.000  0.125  0.250 x4
Ga  0.000  0.497  0.750 x4
Cl  0.000  0.270  0.750 x4
O  0.215  0.500  0.000 x8

Entry from Alexandria: a relaxed BaGaPCl2 crystal (PBE-GGA).

ΔE_f (raw): -0.52 eV per atom
Total magnetic moment: 2.000 μB/cell
Final energy: -16.7 eV for the cell shown
Offset from the most stable computed form: 496 meV/atom
N(E_F): 2.8 states/eV per cell

Unit cell a=5.928 b=5.928 c=6.410 alpha=90.00 beta=90.00 gamma=90.00
Space group P4/mmm (No. 123)
One atom of each set of equivalent atoms:
Ba  0.000  0.000  0.000 x1
Ga  0.500  0.500  0.500 x1
P  0.000  0.000  0.500 x1
Cl  0.000  0.500  0.000 x2